(Entries)
'''
Entry 1:
Here is a cluster of 8 separate species, C26H50Cl6O10S4 in total at a distorted geometry from the OMol25 dataset. Energies are from ωB97M-V/def2-TZVPD.

Structure (ORCA input):
```
! wB97M-V def2-TZVPD RIJCOSX def2/J DEFGRID3
* xyz 0 1
O 6.34 2.06 -3.89
S 5.36 2.84 -3.16
O 5.58 4.24 -2.89
C 3.72 2.55 -3.80
C 2.88 1.87 -2.70
C 3.52 2.22 -1.36
C 5.04 2.08 -1.51
H 3.79 1.92 -4.69
H 3.33 3.52 -4.10
H 1.83 2.14 -2.80
H 3.01 0.79 -2.81
H 3.20 1.63 -0.50
H 3.32 3.27 -1.15
H 5.39 1.05 -1.62
H 5.63 2.64 -0.80
O -1.68 -5.64 -2.28
S -0.56 -5.05 -1.56
O -0.15 -3.67 -1.71
C -0.68 -5.54 0.19
C 0.08 -6.85 0.29
C 1.37 -6.55 -0.49
C 0.94 -6.02 -1.87
H -1.71 -5.48 0.52
H -0.11 -4.75 0.68
H 0.28 -7.14 1.32
H -0.51 -7.67 -0.13
H 2.05 -7.39 -0.58
H 1.95 -5.77 -0.01
H 0.64 -6.85 -2.51
H 1.66 -5.39 -2.38
O 5.05 -1.66 4.34
S 3.88 -2.42 3.94
O 2.73 -2.42 4.81
C 3.30 -1.92 2.27
C 2.78 -3.22 1.68
C 3.78 -4.34 2.04
C 4.27 -4.14 3.48
H 4.20 -1.73 1.68
H 2.62 -1.09 2.30
H 1.75 -3.46 1.95
H 2.70 -3.14 0.59
H 4.64 -4.26 1.37
H 3.35 -5.32 1.86
H 5.35 -4.24 3.54
H 3.77 -4.76 4.22
O -4.02 6.60 -0.32
S -3.92 5.34 0.39
O -4.72 4.99 1.54
C -3.95 3.99 -0.86
C -2.48 3.59 -1.06
C -1.78 3.73 0.30
C -2.14 5.13 0.80
H -4.41 4.42 -1.74
H -4.55 3.17 -0.47
H -2.42 2.58 -1.45
H -2.05 4.23 -1.83
H -0.72 3.66 0.08
H -2.15 3.00 1.02
H -1.63 5.91 0.24
H -2.09 5.40 1.85
O 1.55 -0.54 0.17
C 0.36 -0.51 0.07
C -0.66 -1.50 0.59
C -1.86 -1.18 -0.27
C -1.68 0.25 -0.78
O -0.25 0.50 -0.59
H -0.16 -2.46 0.52
H -0.84 -1.34 1.65
H -1.98 -1.85 -1.12
H -2.78 -1.27 0.32
H -1.84 0.40 -1.84
H -2.24 0.95 -0.16
Cl -5.92 0.93 -1.79
C -5.96 1.18 -3.56
C -4.89 0.32 -4.22
Cl -3.28 1.12 -4.17
H -5.82 2.23 -3.80
H -6.96 0.91 -3.90
H -5.14 0.18 -5.27
H -4.81 -0.62 -3.68
Cl -4.88 0.97 1.41
C -4.44 1.98 2.79
C -3.32 1.37 3.62
Cl -1.94 0.82 2.60
H -5.31 2.12 3.44
H -4.11 2.97 2.50
H -3.60 0.50 4.22
H -2.91 2.06 4.35
Cl 1.14 2.26 3.87
C 0.74 2.69 2.21
C 1.45 3.91 1.70
Cl 1.06 5.38 2.63
H -0.33 2.83 2.24
H 1.06 1.84 1.61
H 1.36 4.08 0.63
H 2.54 3.82 1.79
*
```

Computed properties:
E_LUMO: 0.17 eV
Frontier orbital gap: 10.341 eV
HOMO: -0.3738 Eh
SMILES string: O=S1(=O)CCCC1.O=S1(=O)CCCC1.O=S1(=O)CCCC1.O=S1(=O)CCCC1.O=C1CCCO1.ClCCCl.ClCCCl.ClCCCl

***

Entry 2:
Here is a structure of composition C32H57BBrF3N3O7 at a distorted geometry from the OMol25 dataset. Energies are from ωB97M-V/def2-TZVPD.

Structure (ORCA input):
```
! wB97M-V def2-TZVPD RIJCOSX def2/J DEFGRID3
* xyz 1 1
C 0.75 1.62 4.04
C 0.91 2.09 2.96
C 1.20 2.62 1.63
C 0.74 1.77 0.44
C 1.11 2.63 -0.82
C 0.75 4.12 -0.96
C -0.57 4.78 -0.55
C -1.77 4.51 -1.47
C -2.81 5.65 -1.44
C -3.91 5.51 -0.40
O -3.53 6.20 0.80
C -4.55 6.37 1.70
C -4.90 5.21 2.58
O -5.10 7.41 1.79
C -0.80 1.60 0.34
C -1.73 1.77 1.53
N -1.73 3.09 2.15
C -0.85 0.07 -0.02
O -2.08 -0.57 0.07
C -2.48 -1.24 -1.11
C -3.69 -2.14 -0.83
C -4.61 -1.46 0.20
C -3.22 -3.56 -0.41
C -3.00 -4.44 -1.66
C -4.23 -4.27 0.49
C 0.26 -0.47 0.89
C 0.26 -2.00 0.91
C -0.76 -2.48 1.96
C -0.36 -2.42 3.38
O -0.44 -3.65 2.65
N 1.44 0.36 0.38
B 2.64 0.22 1.40
N 2.54 -0.62 2.58
O 3.68 1.07 1.20
C 1.95 -0.29 -0.87
Br 3.22 -1.74 -0.34
C 2.68 0.44 -2.00
C 4.01 1.14 -1.74
H 0.64 1.22 5.02
H 0.66 3.56 1.58
H 2.25 2.88 1.54
H 0.74 2.09 -1.69
H 2.19 2.59 -0.88
H 1.55 4.70 -0.49
H 0.87 4.35 -2.02
H -0.37 5.84 -0.68
H -0.84 4.70 0.50
H -1.43 4.34 -2.49
H -2.31 3.62 -1.16
H -3.31 5.66 -2.40
H -2.33 6.60 -1.24
H -4.84 5.93 -0.77
H -4.13 4.46 -0.17
H -5.22 4.34 2.00
H -5.72 5.50 3.22
H -4.05 4.95 3.22
H -1.18 2.06 -0.56
H -1.55 1.03 2.31
H -2.74 1.54 1.16
H -2.34 3.73 1.68
H -1.96 3.05 3.13
H -0.58 0.09 -1.08
H -1.68 -1.88 -1.49
H -2.75 -0.53 -1.90
H -4.25 -2.26 -1.76
H -5.61 -1.87 0.13
H -4.67 -0.40 -0.04
H -4.22 -1.58 1.20
H -2.28 -3.52 0.15
H -2.09 -5.03 -1.58
H -3.82 -5.16 -1.75
H -2.99 -3.86 -2.58
H -4.33 -3.81 1.47
H -5.19 -4.33 -0.02
H -3.89 -5.30 0.66
H 0.06 -0.17 1.91
H -0.04 -2.46 -0.03
H 1.17 -2.46 1.27
H -1.81 -2.29 1.73
H 0.64 -2.15 3.64
H -1.22 -2.25 4.02
H 3.34 -1.22 2.68
H 2.39 -0.08 3.43
'''
(Activity)
Now repeat only the lines earlier on with the word "Computed" in them.
(Result)
Computed properties: